Sir, - Last Christmas Mr Simpson, chief executive of Hambleton District Council, wrote to you (D&S, Dec 20) saying he found my constant references to officers of the council to be most inappropriate because I had not provided details of my allegations to the council. He suggested I was not being "open, fair and just".

I responded (D&S, Jan 3) pointing out he was trying to mislead your readers. He needed no complaint from me to investigate the matter because the correspondence over many months was readily available to him in the files. Indeed, he had agreed that very week he would look into the matter without a formal complaint.

Perhaps your readers will be interested in the outcome.

On January 7 Mr Simpson wrote again confirming he would look at the appropriate files. Nevertheless, on February 6 I received a response from the council's head of legal services to whom the chief executive had delegated the matter.

This meant that the investigation of complaints against one of the three senior officers of the council named on the council's letter paper had been conducted not by the chief executive who is obviously one of the other two, which would have been bad enough, but by a lesser officer not so named.

Worse still, the "investigator" had invited the senior officer about whom I want to complain to report on himself. I was told the summary submitted by that officer was a "fair reflection of what happened", which not surprisingly it was not, and the "investigator" did not believe "there is any more to be done", which there is. What went so badly wrong must be obvious in the files but, as Jonathon Swift said, there's none so blind as they that won't see.

I have since exchanged letters with Mr Simpson pointing out numerous deficiencies both in the investigation and in the "summary", citing specific examples to illustrate my points, but he has responded intimating he will take no action.

The man who protested to you about not being able to investigate the matter, who subsequently twice agreed to look into it, has not investigated it and will not look into it. So much for being open and fair.

I think I can be forgiven for thinking that what has happened is a clear indication of what would happen if I were to submit my complaint formally under the council's present farcical arrangements. The investigation by the chief executive, a close colleague of the men about whom I want to complain, would be ineffective and for obvious reasons.


Borrowby Avenue,


Great music

Sir, - On Friday, March 21, Richmond held its first ever Music Day. Jennifer Ash suggested the idea and I am very glad that she did.

Throughout the day music workshops and rehearsals were held in preparation for a charity concert which was held at the Zetland Community Centre.

The entry is interrupted by records of molecules.
<<<
Record 1
Below is C5H6O in the gas phase, with properties calculated with wB97M-V/def2-TZVPD.

Summary:
structure (SMILES) = C#CCCC=O
charge = 0
2S+1 = 1
M = 82.10 g/mol
relative energy (zero: lowest compared OMol25 entry of this formula, charge and spin) = 42.4 kcal per mole
Kohn-Sham gap = 0.401 Eh

Last column: Mulliken charge in e.
Element x y z (Å)
C1 1.3997 -0.0530 -0.2865  -0.438
C2 2.3648 -0.6118 0.1680  0.096
H1 -1.5978 1.4033 0.3396  0.311
H2 -1.8897 -0.8718 1.7057  0.345
O1 -1.6250 -1.4985 -0.1887  -0.475
H3 -0.2848 0.9362 1.4152  0.350
H4 -0.3021 0.1023 -1.5277  0.276
C3 0.1673 0.6312 -0.6912  -0.590
H5 0.3949 1.6490 -1.0259  0.299
C4 -0.8055 0.6565 0.4926  -0.653
H6 3.2170 -1.1124 0.5713  0.395
C5 -1.4883 -0.6806 0.6888  0.083

Force components x, y, z for each atom (eV/Å):
C 0.415 -0.237 0.213
C -0.366 0.213 -0.199
H 0.063 -0.125 0.000
H -0.008 0.010 -0.117
O 0.070 0.338 0.422
H -0.115 -0.039 -0.105
H 0.114 0.072 0.109
C 0.018 0.028 -0.044
H -0.001 -0.156 0.083
C -0.001 0.017 0.006
H -0.120 0.082 -0.122
C -0.069 -0.202 -0.245

=====

Record 2
Below is 17 unconnected molecules or ions with the total composition C27H22Cl64O3S in a non-equilibrium geometry, with properties calculated with wB97M-V/def2-TZVPD.

Summary:
charge = 0
2S+1 = 1
M = 2695.53 g/mol
Kohn-Sham gap = 0.396 Eh

Last column: Mulliken charge in e.
Element x y z (Å)
C1 -10.4070 0.5881 -5.4939  0.270
C2 3.3003 -2.8484 2.5647  0.259
Cl1 12.1021 4.9945 5.6821  -0.106
C3 -0.6240 -4.2231 0.4061  0.399
O1 -7.6129 -4.5950 -2.3775  -0.669
Cl2 -14.6382 2.7301 -7.3354  -0.096
H1 -4.2186 -1.4038 -2.2601  0.349
Cl3 -9.4237 0.8957 -4.0633  0.013
C4 -5.4379 -2.5968 0.6322  -0.212
H2 -1.3984 -7.6397 0.5897  0.395
Cl4 -11.8692 2.8291 5.4045  -0.091
H3 -1.4740 -5.5672 1.8766  0.317
Cl5 0.8179 -1.7646 -3.6826  -0.113
Cl6 12.7019 -0.7907 3.0818  -0.064
Cl7 -4.4878 10.1162 -3.2981  -0.097
H4 -2.2696 -6.4016 -0.3155  0.177
H5 -4.9862 -4.6263 1.2603  0.255
H6 -2.6839 -3.8408 0.7178  -0.372
Cl8 -2.0222 2.5017 -0.5772  -0.077
Cl9 7.5647 7.4242 -6.5121  -0.097
Cl10 8.2034 6.4699 -3.8707  -0.034
S1 -6.4152 -4.5174 -1.5810  1.225
Cl11 7.1947 3.3401 -4.8454  -0.085
Cl12 -5.6277 7.4769 -3.0610  -0.078
Cl13 -12.7881 1.5290 3.0010  -0.087
Cl14 2.9991 -3.6110 -3.2791  -0.121
Cl15 -10.5407 0.4499 4.4637  -0.101
Cl16 10.1572 -1.3663 -3.2267  -0.072
O2 -5.8730 -3.0235 -1.7116  -0.546
Cl17 5.1539 2.7515 2.3352  -0.116
Cl18 10.3940 -3.5436 4.0846  -0.091
Cl19 -8.1318 -0.8815 -0.7101  0.057
C5 2.3865 -1.9974 -2.9019  0.202
Cl20 -13.3134 0.3147 -8.1696  -0.053
C6 9.3978 -2.0778 -4.6537  0.303
Cl21 -10.8238 -0.0280 -1.2065  -0.036
Cl22 -3.2289 8.1475 -1.6097  -0.099
C7 -4.7771 8.7636 -2.2024  0.361
H7 -2.3842 -1.2633 0.7991  0.459
Cl23 8.0802 -5.0298 3.2050  -0.099
Cl24 -12.0164 0.0541 -4.9908  -0.078
C8 -12.1033 1.2729 4.6059  0.367
Cl25 7.9156 2.1350 2.9132  -0.025
H8 -7.8084 -4.0833 0.2101  0.317
Cl26 10.2583 6.6077 -5.8852  -0.098
C9 -2.4146 -1.9779 -1.2135  -0.797
Cl27 9.9320 4.6902 7.5440  -0.055
>>>
The entry goes on.

I spent the day visiting the different workshops and activities - if you ever get the chance to see Noah or Samson and Delilah at the C of E School then do - they are fantastic.

The evening concert was brilliant and featured pupils from Richmond School, St Francis Xavier, the Methodist Primary School and the Church of England Primary School. It was wonderful to see all these schools working and performing together.

Thank you to all the pupils and teachers involved. Thank you to Pat and David Rivers and the Zetland Community Centre and thank you to everyone who helped. We had an amazing evening and raised £564.15.

The Music Day will, I hope, become an annual event.


Mayor of Richmond,

Town Hall,


Sir, - Richmond's young musicians who rose to a challenge to organise a fundraising event for a children's charity proved we have some inspired young people in our midst.

These young people, backed by their teachers, gave up their time to plan and organise a superb evening. Thank you to everyone who took part in an evening to be remembered.


Vicarage Road,


Great hospital

Sir, - Recently having had both knees replaced at the Friarage Hospital, Northallerton, I would like to thank Mr Van Vuurem and his team for their expertise on two very successful operations. Also many thanks to the staff on Ward 3, the physiotherapists and also the physiotherapy department at Ripon Hospital.

== Next to the entry, the page also holds molecular data ==
........
--- one ---
{
  "formula": "C6H9N3",
  "method": "the ωB97M-V functional and the def2-TZVPD basis",
  "elements": ["C", "C", "C", "N", "C", "N", "N", "C", "C", "H", "H", "H", "H", "H", "H", "H", "H", "H"],
  "xyz": [[0.33639, 1.11489, -2.47147], [1.07038, 0.86093, -1.09081], [0.60107, 0.53307, 0.12599], [1.40903, 0.40377, 1.27271], [0.86657, -0.27154, 2.21926], [-0.34699, -1.07199, 2.27146], [-1.37672, -0.69732, 1.30643], [-1.20951, -1.37042, 0.03326], [-0.88690, 0.09694, 0.10426], [0.52863, 2.18156, -2.76014], [0.81798, 0.51506, -3.26908], [-0.80555, 0.92830, -2.40341], [2.18183, 1.08404, -1.05550], [1.45208, -0.28438, 3.18672], [-0.63630, -1.08577, 3.21447], [-0.26166, -1.93717, -0.16811], [-2.06114, -1.85778, -0.41149], [-1.67918, 0.85782, -0.10456]],
  "orbital_gap_ev": 9.547,
  "e_homo_ev": -8.5,
  "charge": 0
}

=====

--- two ---
{
  "formula": "C6H9N3",
  "method": "the ωB97M-V functional and the def2-TZVPD basis",
  "elements": ["C", "N", "C", "N", "C", "C", "N", "C", "C", "H", "H", "H", "H", "H", "H", "H", "H", "H"],
  "xyz": [[-2.31437, 0.24031, 1.13307], [-1.12852, 0.95935, 0.42630], [0.03307, 0.51072, 0.07154], [0.89237, 1.53575, -0.00325], [2.11489, 1.34995, -0.45405], [2.61619, 0.12498, -0.82227], [1.81329, -0.94769, -0.63049], [0.51264, -0.67890, -0.42587], [-0.53701, -1.72117, -0.58003], [-3.03827, 1.00373, 1.54069], [-1.73453, -0.23438, 1.89375], [-2.50313, -0.62280, 0.35171], [-1.16421, 2.01882, 0.69429], [2.78967, 2.13563, -0.37517], [3.72511, 0.19208, -0.98706], [-0.01987, -2.53202, -1.13338], [-0.77167, -2.07933, 0.44075], [-1.28564, -1.25505, -1.14055]],
  "orbital_gap_ev": 8.714,
  "e_homo_ev": -7.9,
  "charge": 0
}

=====

The data favor two; the next most stable structure lies 26.9 kcal/mol above it.

=====

--- one ---
{
  "formula": "C6H9N3",
  "method": "the ωB97M-V functional and the def2-TZVPD basis",
  "elements": ["H", "N", "N", "C", "C", "C", "C", "C", "C", "N", "H", "H", "H", "H", "H", "H", "H", "H"],
  "xyz": [[-1.59593, -1.51864, 1.44872], [-2.20792, -0.67692, 1.43665], [-1.73826, 0.38196, 1.09537], [-0.09253, 0.62458, 0.87196], [0.44167, 1.41800, 1.78608], [0.25491, -0.01439, -0.38388], [0.17482, -1.52967, -0.39725], [-0.38858, 0.62294, -1.60847], [2.02543, 0.37173, -0.49658], [3.02726, 0.21571, -1.06755], [-0.16344, 1.80765, 2.59927], [1.47607, 1.73857, 1.72890], [0.69430, -1.93384, -1.27062], [-0.86870, -1.87629, -0.46609], [0.61183, -1.96741, 0.50352], [-0.48415, 1.70556, -1.49446], [-1.38598, 0.20759, -1.79033], [0.21919, 0.42288, -2.49525]],
  "orbital_gap_ev": 9.247,
  "e_homo_ev": -8.9,
  "charge": 0
}

=====

--- two ---
{
  "formula": "C6H9N3",
  "method": "the ωB97M-V functional and the def2-TZVPD basis",
  "elements": ["C", "C", "C", "N", "C", "C", "C", "N", "N", "H", "H", "H", "H", "H", "H", "H", "H", "H"],
........


Old Park Mews,
